Unrequited love, how to get out of the situation

AND happened to everyone at least once: we fall in love with a person who is not interested in us. And in addition to managing rejection, you need to come to terms with that part of us that, despite everything, continues to cling to that person thinking maybe he can change his mind, that there’s actually feeling underneath. All motivations, very often absolutely untruthful, which however feed the feeling, preventing us from “going further”.

Unrequited love, why do you cling to this relationship?

That unrequited love causes pain is a fact. Not being reciprocated in your feelings because the other person isn’t interested, she isn’t ready, or she just doesn’t want to commit is not an easy situation to handle. «However, the point of these situations is another: Why can’t you take note of the situation and then let it go? The real problem with unrequited love is that it affects us personallythe fact that we are unable to get out of it for very many reasons,” he explains Carolina Traverso, psychologist and psychotherapist.

Behind this situation, there are in fact two mechanisms connected to each other: the idealization of the other personand the relationship we could have together, and the low personal self-esteem. «Unrequited love is very often based on an idealization mechanism: even if we know very little about the other person, we fall in love with them. But what we love are the ideas we have about her, probably based on reality, but undoubtedly “empowered” by our hopes». This leads us to “hold on” and hope that a real relationship will blossom sooner or later.

Lack of self-esteem, the second element that fuels unrequited love

Low self-esteem is linked to unrequited love. The idea of ​​being loved precisely by the person you have idealized, therefore with many advantages, is a privilege: «In the throes of idealization we tell ourselves that receiving his attention will make us a better human being in our own eyes and to those of others. Consequently a possible disinterest on his part is like a very painful confirmation of our disvalue. The more the value we attribute to ourselves is linked to how others see us, the more rejection becomes a frightening possibility and this is also why sometimes it is easier, even if harmful in the long run, to take refuge in a fantasy world where we are told that sooner or later our impossible love will come true».

Love starts from oneself: it is the key to fulfilling couple relationships

Very often at the root of the insistence on unrequited love is the fear of a real relationship: it can happen because maybe you came out very bruised by the previous story, because you didn’t take the necessary time to process the end of the relationship and therefore, projecting yourself into a fake story protects you from possible new suffering and disappointments.

How to get out of unrequited love: 4 behaviors to adopt right now

However, there is a solution to this situation. Or better, four behaviors to start adopting slowly:

1. Distance yourself

«It is essential to start detaching from this context. Not drastically but gradually, so as to get used to the idea. For example, trying to postpone all the times we are tempted to contact that person or go to visit her profile on a social media, and dedicating our attention to something else ».

~~~
Arrangement a

First-principles (PBE-GGA) data for a relaxed structure of RbMg6SiO8, as listed in Materials Project.

Properties
- space group = P4/mmm

Unit cell a=8.3654 b=4.6942 c=4.6942 alpha=90.00 beta=90.00 gamma=90.00
Sites, in units of the cell vectors:
1 Rb 0.5000 0.0000 0.0000
2 Mg 0.0000 0.5000 0.5000
3 Mg 0.5000 0.5000 0.5000
4 Mg 0.2510 0.0000 0.5000
5 Mg 0.7490 0.0000 0.5000
6 Mg 0.2510 0.5000 0.0000
7 Mg 0.7490 0.5000 0.0000
8 Si 0.0000 0.0000 0.0000
9 O 0.2019 0.0000 0.0000
10 O 0.7981 0.0000 0.0000
11 O 0.2479 0.5000 0.5000
12 O 0.7521 0.5000 0.5000
13 O 0.0000 0.0000 0.5000
14 O 0.5000 0.0000 0.5000
15 O 0.0000 0.5000 0.0000
16 O 0.5000 0.5000 0.0000

=====

Arrangement b

First-principles (PBE-GGA) data for a relaxed structure of RbMg6SiO8, as listed in Materials Project.

Properties
- space group = P4/mmm

Unit cell a=8.7366 b=4.5603 c=4.5603 alpha=90.00 beta=90.00 gamma=90.00
Sites, in units of the cell vectors:
1 Rb 0.0000 0.5000 0.5000
2 Mg 0.5000 0.0000 0.0000
3 Mg 0.5000 0.5000 0.5000
4 Mg 0.2557 0.0000 0.5000
5 Mg 0.7443 0.0000 0.5000
6 Mg 0.2557 0.5000 0.0000
7 Mg 0.7443 0.5000 0.0000
8 Si 0.0000 0.0000 0.0000
9 O 0.2342 0.0000 0.0000
10 O 0.7658 0.0000 0.0000
11 O 0.2817 0.5000 0.5000
12 O 0.7183 0.5000 0.5000
13 O 0.0000 0.0000 0.5000
14 O 0.5000 0.0000 0.5000
15 O 0.0000 0.5000 0.0000
16 O 0.5000 0.5000 0.0000

=====

Top of the stability list: arrangement a, leading by 89 meV per atom.

=====

Arrangement a

First-principles (PBE-GGA) data for a relaxed structure of RbMg14TiO16, as listed in Materials Project.

Properties
- space group = P4/mmm

Unit cell a=8.6888 b=8.6888 c=4.4430 alpha=90.00 beta=90.00 gamma=90.00
Sites, in units of the cell vectors:
1 Rb 0.5000 0.5000 0.0000
2 Mg 0.0000 0.5000 0.0000
3 Mg 0.5000 0.0000 0.0000
4 Mg 0.0000 0.2543 0.5000
5 Mg 0.0000 0.7457 0.5000
6 Mg 0.5000 0.2466 0.5000
7 Mg 0.5000 0.7534 0.5000
8 Mg 0.2543 0.0000 0.5000
9 Mg 0.2466 0.5000 0.5000
10 Mg 0.7457 0.0000 0.5000
11 Mg 0.7534 0.5000 0.5000
12 Mg 0.2522 0.2522 0.0000
13 Mg 0.2522 0.7478 0.0000
14 Mg 0.7478 0.2522 0.0000
15 Mg 0.7478 0.7478 0.0000
16 Ti 0.0000 0.0000 0.0000
17 O 0.2381 0.0000 0.0000
18 O 0.2187 0.5000 0.0000
19 O 0.7619 0.0000 0.0000
20 O 0.7813 0.5000 0.0000
21 O 0.2485 0.2485 0.5000
22 O 0.2485 0.7515 0.5000
23 O 0.7515 0.2485 0.5000
24 O 0.7515 0.7515 0.5000
25 O 0.0000 0.0000 0.5000
26 O 0.0000 0.5000 0.5000
27 O 0.5000 0.0000 0.5000
28 O 0.5000 0.5000 0.5000
29 O 0.0000 0.2381 0.0000
30 O 0.0000 0.7619 0.0000
31 O 0.5000 0.2187 0.0000
32 O 0.5000 0.7813 0.0000

=====

Arrangement b

First-principles (PBE-GGA) data for a relaxed structure of RbMg14TiO16, as listed in Materials Project.

Properties
- space group = Pmmm

Unit cell a=8.7087 b=8.6458 c=4.4695 alpha=90.00 beta=90.00 gamma=90.00
Sites, in units of the cell vectors:
1 Rb 0.0000 0.5000 0.0000
2 Mg 0.5000 0.0000 0.0000
3 Mg 0.5000 0.5000 0.0000
4 Mg 0.0000 0.2530 0.5000
5 Mg 0.0000 0.7470 0.5000
6 Mg 0.5000 0.2508 0.5000
~~~

2. Healing takes time

«A feeling doesn’t disappear on command and letting go of a love or its idea takes time. Getting into conflict with the part of ourselves that still thinks about that person not only doesn’t help heal wounds, but it makes you feel hostage to a feeling you would like to get rid of. It is preferable to acknowledge that you are still attracted to that person or from the idea you have, and if necessary allow yourself to talk about it with a trusted friend. Unrequited love should not be repressed but processed».

3. Take care of yourself

Being kind to yourself is essential but not always easy: «It means dedicating yourself to activities or relationships that make you feel good, without pretending that they replace the absence of that person, but rather with the intention of living life better regardless of the presence or absence of a great love. The worst thing is staying at home drinking alcohol or bingeing in front of the TV: you can try going out, moving your body, seeing friends and perhaps resuming an old hobby or cultivating a new one».

4. Learn to be alone

The temptation of the nail-drive-the-nail is very strong but not productive: «First, it would be better to take care of the parts of us that need to be nourished so as not to fall again into the trap of clinging to an elusive person in the hope that, one day, he will be able to heal our wounds with his presence».

